Wanted >
Type out only the lines further below with the word "Pr2HoTlO6" in them.

Input >
/*
{"formula": "GePd6Pb2", "functional": "GGA-PBE", "state": "optimized geometry", "lattice": [[3.505, 0.000, 0.000], [0.000, 6.581, -3.030], [0.000, -0.666, 7.215]], "species": ["Pd", "Pd", "Pd", "Pd", "Pd", "Pd", "Pb", "Pb", "Ge"], "frac_coords": [[0.000, 0.000, 0.250], [0.000, 0.750, 0.750], [0.500, 0.628, 0.000], [0.000, 0.250, 0.000], [0.500, 0.372, 0.372], [0.500, 0.000, 0.628], [0.000, 0.667, 0.333], [0.000, 0.333, 0.667], [0.500, 0.000, 0.000]], "formation_enthalpy_0k_mev_per_atom": -344}


{"formula": "Pr2HoTlO6", "functional": "GGA-PBE", "state": "optimized geometry", "lattice": [[5.989, 0.000, 0.000], [2.995, 5.187, 0.000], [2.995, 1.729, 5.128]], "species": ["O", "O", "O", "O", "O", "O", "Pr", "Pr", "Ho", "Tl"], "frac_coords": [[0.185, 0.936, 0.263], [0.107, 0.444, 0.755], [0.615, 0.185, 0.263], [0.936, 0.615, 0.263], [0.444, 0.694, 0.755], [0.694, 0.107, 0.755], [0.530, 0.530, 0.410], [0.032, 0.032, 0.903], [0.810, 0.810, 0.571], [0.308, 0.308, 0.075]], "raw_formation_energy_kj_per_mol_atoms": -259.0}


{"formula": "Ir4RuRh4", "functional": "GGA-PBE", "state": "optimized geometry", "lattice": [[3.686, 0.000, 1.113], [1.843, 5.780, 0.556], [0.172, 0.000, 6.090]], "species": ["Rh", "Rh", "Rh", "Rh", "Ir", "Ir", "Ir", "Ir", "Ru"], "frac_coords": [[0.829, 0.171, 0.671], [0.500, 0.171, 0.329], [0.500, 0.829, 0.671], [0.171, 0.829, 0.329], [0.165, 0.500, 0.670], [0.835, 0.500, 0.330], [0.165, 0.170, 0.000], [0.835, 0.830, 0.000], [0.500, 0.500, 0.000]], "formation_enthalpy_0k_mev_per_atom": -29}


{"formula": "Rb4Dy3ErTe8", "functional": "GGA-PBE", "state": "optimized geometry", "lattice": [[9.037, 0.000, 0.000], [0.000, 9.997, 0.670], [-4.519, -4.518, 6.392]], "species": ["Te", "Te", "Te", "Te", "Te", "Te", "Te", "Te", "Dy", "Dy", "Dy", "Rb", "Rb", "Rb", "Rb", "Er"], "frac_coords": [[0.232, 0.699, 0.967], [0.232, 0.699, 0.464], [0.267, 0.301, 0.534], [0.768, 0.301, 0.033], [0.733, 0.699, 0.466], [0.768, 0.301, 0.536], [0.265, 0.301, 0.033], [0.735, 0.699, 0.967], [0.500, 0.500, 0.000], [0.000, 0.500, 0.500], [0.500, 0.500, 0.500], [0.000, 0.000, 0.500], [0.500, 0.000, 0.000], [0.500, 0.000, 0.500], [0.000, 0.000, 0.000], [0.000, 0.500, 0.000]], "raw_formation_energy_kj_per_mol_atoms": -133.2}


{"formula": "DyYRu4", "functional": "GGA-PBE", "state": "optimized geometry", "lattice": [[5.338, 0.000, 0.000], [2.669, 4.623, 0.000], [2.669, 1.541, 4.359]], "species": ["Ru", "Ru", "Ru", "Ru", "Dy", "Y"], "frac_coords": [[0.125, 0.625, 0.625], [0.625, 0.625, 0.625], [0.625, 0.125, 0.625], [0.625, 0.625, 0.125], [0.000, 0.000, 0.000], [0.250, 0.250, 0.250]], "formation_enthalpy_0k_mev_per_atom": -297}


{"formula": "Rb2CaI2Br2", "functional": "GGA-PBE", "state": "optimized geometry", "lattice": [[5.705, 0.000, 0.000], [0.000, 5.705, 0.000], [-2.852, -2.852, 9.401]], "species": ["I", "I", "Rb", "Rb", "Br", "Br", "Ca"], "frac_coords": [[0.167, 0.167, 0.334], [0.833, 0.833, 0.666], [0.363, 0.363, 0.727], [0.637, 0.637, 0.273], [0.000, 0.500, 0.000], [0.500, 0.000, 0.000], [0.000, 0.000, 0.000]], "raw_formation_energy_kj_per_mol_atoms": -166.8}


{"formula": "CaLa2Sn2", "functional": "GGA-PBE", "state": "optimized geometry", "lattice": [[4.825, 0.000, 0.000], [0.000, 4.825, 0.000], [2.413, 2.413, 7.273]], "species": ["Sn", "Sn", "La", "La", "Ca"], "frac_coords": [[0.597, 0.597, 0.806], [0.403, 0.403, 0.194], [0.750, 0.250, 0.500], [0.250, 0.750, 0.500], [0.000, 0.000, 0.000]], "formation_enthalpy_0k_mev_per_atom": -412}


{"formula": "ThZn3Au4", "functional": "GGA-PBE", "state": "optimized geometry", "lattice": [[4.647, -0.004, 0.000], [-0.004, 4.647, 0.000], [0.000, 0.000, 7.488]], "species": ["Au", "Au", "Au", "Au", "Th", "Zn", "Zn", "Zn"], "frac_coords": [[0.500, 0.000, 0.193], [0.000, 0.500, 0.193], [0.000, 0.500, 0.807], [0.500, 0.000, 0.807], [0.000, 0.000, 0.500], [0.500, 0.500, 0.660], [0.000, 0.000, 0.000], [0.500, 0.500, 0.340]], "formation_enthalpy_0k_mev_per_atom": -321}
*/

Written answer >
{"formula": "Pr2HoTlO6", "functional": "GGA-PBE", "state": "optimized geometry", "lattice": [[5.989, 0.000, 0.000], [2.995, 5.187, 0.000], [2.995, 1.729, 5.128]], "species": ["O", "O", "O", "O", "O", "O", "Pr", "Pr", "Ho", "Tl"], "frac_coords": [[0.185, 0.936, 0.263], [0.107, 0.444, 0.755], [0.615, 0.185, 0.263], [0.936, 0.615, 0.263], [0.444, 0.694, 0.755], [0.694, 0.107, 0.755], [0.530, 0.530, 0.410], [0.032, 0.032, 0.903], [0.810, 0.810, 0.571], [0.308, 0.308, 0.075]], "raw_formation_energy_kj_per_mol_atoms": -259.0}